Issues with Sprint?

Is anyone else having issues? I sometimes get a network error when I try and send texts. Sometimes I have to send it 3 times before it actually sends. I’m also getting multiple texts from people. I thought it was their phone at first, but it’s happened to me with more than one person. And when I try to send pics, sometimes it only sends half the pic.

I’m on hold with customer service right now. I doubt they’ll tell me anything is wrong.

Is it really that time that I make the switch over to Verizon?

Make the switch to AT&T Dawnnnnnnn…

im having the same problem with cricket, its been flawless except the last 3 days, the messages send when they want too. they will just say sending then not send and ill have to re send x times

Never had sprint, but i had cricket for a year and it sucked big time. Ive been with at&t for like 3 years and i never had a problem, besides breaking phones. Look into it Dawn.

Oooh. If I switch to AT&T I can get an Iphone. Hmmm… Haha. Will I be able to keep my same number? I’ve had this # since 10th grade. I wouldn’t want to lose it now!

Either way, I’m getting rid of Sprint. I just got off the phone with customer service, and they removed my data plan for no reason. I got a call yesterday to see if this was an error, told me they were adding it back, noted it in the computer that they added it back, and still never did! Ugh. I better not get charged.

A geometry-optimized Na4LaInSi2SO12 structure, computed with PBE.

Results
For the formation energy, the calculation gives -5275 kJ/mol of formula units. Its total magnetic moment is 0.00 μB/cell. As for the space group: P1. Its volume is 14.64 Å³ per atom.

extended XYZ file:
```
126
Lattice="-5.341 7.162 -3.359 -3.474 -5.728 6.790 8.676 14.205 16.384" Properties=species:S:1:pos:R:3 pbc="T T T"
Na -4.681 2.569 8.833
Na -1.167 3.888 5.348
Na -5.205 7.196 5.090
Na 0.871 11.288 14.191
Na 0.011 15.832 11.331
Na 4.348 13.310 11.123
Na 2.293 8.781 10.867
Na 2.307 4.297 14.188
Na -1.715 7.677 13.930
Na -4.221 -2.460 6.849
Na -5.122 2.218 3.902
Na -0.664 -0.309 3.676
Na 0.419 16.383 16.350
Na 3.939 17.561 12.817
Na 5.320 13.764 15.945
Na -2.595 10.868 5.498
Na 1.817 8.256 5.908
Na -2.535 7.207 9.076
Na -4.330 8.606 11.472
Na 8.464 14.342 16.369
Na 2.662 14.755 13.486
Na -1.977 7.707 5.503
Na -2.453 1.051 6.048
Na 1.483 8.166 14.304
La 7.211 11.940 13.873
La -7.407 3.687 6.056
La 3.850 16.901 16.220
La -3.851 -1.229 3.655
La 0.276 5.851 11.888
La 2.974 10.141 16.762
In -5.632 6.263 9.121
In 5.608 9.217 10.624
In 1.300 12.461 11.129
In -3.248 5.475 3.172
In -0.507 9.717 7.973
In -1.306 3.097 8.708
Si -3.843 4.536 6.525
Si 1.111 1.821 6.246
Si 3.743 11.033 13.207
Si 2.670 15.520 9.881
Si 2.974 10.667 8.596
Si -0.724 9.541 11.590
Si -6.673 4.514 2.491
Si -2.343 1.977 2.475
Si 6.605 11.112 17.323
Si 2.784 9.806 20.533
Si -3.214 4.880 11.298
Si 1.135 2.242 11.254
S 0.543 5.824 3.114
S -1.231 13.715 13.560
S -1.177 13.272 8.572
S -2.905 5.846 -0.569
S 2.185 13.796 17.400
S 0.584 6.203 8.100
O 1.349 5.770 4.387
O -4.384 5.716 7.544
O -3.191 10.270 3.033
O 4.997 11.940 13.752
O -0.884 13.939 14.994
O 2.633 16.935 10.723
O -1.662 9.889 15.263
O 4.260 9.966 12.061
O 3.204 5.387 16.774
O -5.085 3.582 6.041
O 0.621 1.643 4.694
O -2.800 -1.200 9.176
O -0.394 13.325 9.846
O 2.603 11.862 9.648
O 0.227 10.847 11.877
O -5.289 5.319 2.885
O -2.709 5.935 0.909
O -2.469 3.532 3.040
O -3.199 1.741 1.090
O -6.430 3.410 1.297
O -3.747 4.671 -0.929
O 1.626 9.823 8.122
O -1.082 9.370 9.981
O -1.071 11.929 7.925
O 3.004 13.891 18.624
O 6.221 12.211 18.485
O 3.668 11.164 20.843
O -1.939 5.827 11.705
O 0.954 6.350 9.535
O 0.953 3.651 12.077
O 0.319 2.305 9.816
O -2.746 3.749 10.182
O -0.355 5.044 7.928
O 5.241 10.362 16.786
O 2.503 9.641 18.918
O 2.293 12.445 16.798
O 0.534 1.098 12.315
O -0.868 11.714 3.989
O 1.842 6.030 7.335
O 2.048 19.161 12.818
O 3.696 8.566 21.130
O 0.786 14.110 17.774
O -0.692 14.252 7.565
O 4.002 9.484 9.182
O -2.215 9.677 12.334
O -7.331 3.627 3.716
O -3.614 7.010 -1.120
O -0.799 1.572 2.053
O 2.048 14.456 11.003
O 2.667 12.202 12.733
O 0.053 13.561 12.839
O -3.106 5.402 5.311
O -3.350 7.664 3.433
O -0.869 6.104 3.485
O 2.643 14.750 16.348
O 2.246 17.060 14.490
O 4.763 15.579 14.436
O -0.370 9.742 5.787
O -0.156 7.407 7.597
O -2.620 9.092 7.478
O -2.913 1.010 3.691
O -2.373 -1.437 5.425
O -5.031 -0.004 5.596
O 0.292 5.761 14.186
O 0.124 8.257 12.215
End of the records of crystals:

Verizon or At&t is the way to go. I just switched from verizon to AT&T for the iPhone and yes you can keep your same number

That sucks. But hey switch over, a 8gb iphone costs like a $100 with a 2 yr agreement. You’d be a new customer.

been gettin multiples on and off all day.

It’s so annoying. I love getting “lol” 4 times in a row. At first I thought I was really funny. Guess not. Hmf.

go with t-mobile. they got 1000 minutes for $39.99 now.

T-mobile is aight, but at&t beats it just imo.

they are comparable except at&t has costly monthly plans

go with at&t. ive had them for 3 years now and havent had a single issue with them. ive used their warranty service as well and theyre very helpful. longest ive ever had to sit on hold was 3-5min.

I need a big company. I need to have service everywhere. T-Mobile and Cricket suck where I live. Although, Sprint is sucking pretty badly too. I’ll probably go with Verizon.

I pay like $70 a month. Don’t talk much on the phone, but i got unlimited txt/mms that i use alot. Their service is pretty well too. Like the signal i was deep underground and i still had all 5 bars.

If I switch to Verizon I can go on my mom’s plan and not have to pay a dime. Hahah.

Well there you go. The more free the better.

my sprint service has been good.

I also love when my phone doesn’t ring, and it just vibrates to let me know I have a voicemail. What the heck.

We had the same problem Dawn…Mike called asked to speak to a manager was on HOLD for an hour and the manager ended up giving us a $100 credit and all our phones have an unlimited data usage/internet until the year 2100! Just call and put your bitch face on! :wink:

But I would love a new iPhone… tough call.